As the sun rose over the villa, painting the sky in shades of pink and gold, Sophie woke to the sound of birds chirping outside her window. She stretched and yawned, feeling refreshed and excited for the day ahead. 

After breakfast, Sophie decided to explore the town near the villa. She wandered through the narrow streets, taking in the sights and sounds of the bustling market. She stopped at a small cafe and ordered a coffee, savoring the rich aroma and the warmth of the sun on her skin. 

Luc woke up. The sun was high up in the sky, it was blinding, as it pierced through his windows, giving him a headache. He searched for his phone to see what time it was. "Shit!", He exclaimed as he jumped out of bed. It was 11a.m. He was grateful to Andrew his friend for allowing him run his villa this summer. He needed to find himself, and most of all, he needed peace. And he was mostly grateful because last night he made a new friend. "Friend?" He thought to himself. Sophie was pretty hot, and the last thing he needed was another hot friend. Stephanie was enough hotness. The villa was pretty big which meant a lot of work. He had an appointment by noon with a vineyard not quite far from the villa. He had missed breakfast but he knew he couldn't wiggle his way out of this one. He showered and hurried put up whatever trouser and t-shirt his hands came across.

Luc walked down the tiny streets interwoven to form provence. He regretted not bringing his car down here. He strolled past beautiful flower shops, book stores, bakeries that made up the little county side town, taking in it's magnificent beauty. He breathed the air full of a mixture of flowers and coffee coming from the coffee shop just ahead. His tummy grumbled, a reminder that he'd missed breakfast. He lifted his left arm in an attempt to check the time, but he realized he had left his watch and phone in his room. He was in a rush and had quickly left the room as soon as he put on clothes, damn!. He decided to wing it. Been a little late to a meeting didn't kill any one he muttered, making his way to the other side of the street where the coffee shop stood.

He entered the coffee shop to find a familiar face. It was his somewhat hot friend from last night. He made his order at the counter, then made his way towards her table. She looked quite distant.

Sophie sat at a table, lost in thought, she heard a familiar voice behind her. "Mind if I join you?"

What comes next are records of molecules, not part of the page >
........
# 1
This record from the OMol25 dataset describes a 2-piece molecular cluster, C11H14N2 overall. The level of theory is wB97M-V/def2-TZVPD.

```
27
Properties=species:S:1:pos:R:3:mulliken_charge:R:1
C -0.75 0.24 -2.81 -1.20
C 0.61 -0.36 -2.74 0.77
C 1.52 -0.30 -1.72 -0.61
N 2.48 -1.23 -2.00 -0.06
C 2.11 -1.86 -3.14 -0.27
N 0.98 -1.38 -3.58 -0.61
H -1.37 -0.26 -2.06 0.25
H -1.23 -0.01 -3.75 0.37
H -0.81 1.30 -2.57 0.35
H 1.60 0.42 -0.93 0.51
H 3.35 -1.36 -1.51 0.18
H 2.53 -2.75 -3.58 0.40
C -0.07 -1.17 3.55 -1.49
C -0.58 0.00 2.78 1.06
C -0.98 -0.14 1.44 -0.55
C -1.41 0.93 0.70 0.11
C -1.64 2.18 1.30 -0.81
C -1.40 2.25 2.65 -0.19
C -0.99 1.16 3.43 -0.66
H -0.22 -1.16 4.60 0.40
H 0.98 -1.27 3.35 0.33
H -0.41 -2.12 3.15 0.38
H -0.72 -1.04 0.90 0.34
H -1.53 0.91 -0.38 0.03
H -1.80 3.05 0.68 0.37
H -1.35 3.24 3.10 0.31
H -0.85 1.45 4.46 0.29
```

Calculated values
- SMILES string: Cc1c[nH]cn1.Cc1ccccc1
- LUMO level: 0.80 eV
- HOMO: -0.3143 Eh
- Kohn-Sham gap: 9.4 eV



# 2
This record from the OMol25 dataset describes a 2-piece molecular cluster, C11H14N2 overall. The level of theory is wB97M-V/def2-TZVPD.

```
27
Properties=species:S:1:pos:R:3:lowdin_spin:R:1
C -0.35 -1.34 1.81 0.00
C -3.49 -2.23 -0.96 0.00
C -2.25 -2.84 -1.11 0.00
C -3.72 -1.35 0.09 0.00
C -1.34 -2.75 -0.06 0.00
C -2.72 -1.14 1.03 0.00
C -1.48 -1.76 0.92 0.00
H -4.21 -2.37 -1.75 0.00
H -2.11 -3.53 -1.93 0.00
H -4.72 -0.97 0.21 0.00
H -0.52 -3.45 0.01 0.00
H -2.94 -0.38 1.77 0.00
H -0.51 -0.28 2.05 0.00
H 0.68 -1.48 1.48 0.00
H -0.39 -1.81 2.80 0.00
C 3.63 1.73 1.33 0.05
C 2.20 2.09 -1.85 0.24
C 2.84 2.11 0.17 0.26
C 1.49 2.60 0.16 0.32
N 3.23 1.81 -1.08 -0.01
N 1.13 2.59 -1.11 0.09
H 2.27 2.13 -2.92 0.01
H 0.17 2.59 -1.44 0.00
H 0.83 2.87 0.97 0.01
H 3.97 0.68 1.26 0.02
H 3.11 1.81 2.28 0.00
H 4.60 2.22 1.34 0.02
```

Calculated values
- 2S+1: 2
- LUMO level (spin up / spin down): -3.97 / -7.89 eV
- HOMO (spin up / spin down): -0.4132 / -0.4132 Eh
- Net charge: +1
- Kohn-Sham gap (spin up / spin down): 7.3 / 3.4 eV



# 3
This record from the OMol25 dataset describes a 2-piece molecular cluster, C11H14N2O overall. The level of theory is wB97M-V/def2-TZVPD.

```
28
Properties=species:S:1:pos:R:3:mulliken_charge:R:1
C -3.81 1.50 -1.38 -1.43
C -2.86 0.43 -0.88 0.85
C -1.54 0.41 -1.32 -0.47
C -0.65 -0.59 -0.92 -0.39
C -1.10 -1.56 -0.05 0.33
O -0.25 -2.36 0.70 -0.63
C -2.44 -1.62 0.30 -0.53
C -3.30 -0.58 -0.05 -0.51
H -3.79 2.37 -0.72 0.28
H -4.84 1.16 -1.27 0.36
H -3.48 1.84 -2.35 0.36
H -1.20 1.14 -2.05 0.34
H 0.34 -0.52 -1.35 0.40
H 0.56 -1.88 0.82 0.28
H -2.75 -2.40 1.00 0.38
H -4.31 -0.71 0.29 0.32
C 1.04 0.38 1.99 -1.29
C 2.10 0.67 1.00 0.80
C 2.45 1.75 0.27 -0.67
N 3.58 1.44 -0.44 -0.09
C 3.87 0.14 -0.15 -0.24
N 3.03 -0.34 0.71 -0.52
H 0.06 0.51 1.57 0.25
H 1.22 0.98 2.87 0.37
H 1.06 -0.65 2.36 0.41
H 1.92 2.67 0.10 0.41
H 3.91 2.01 -1.21 0.23
H 4.73 -0.36 -0.56 0.43
```

Calculated values
- SMILES string: Cc1ccc(O)cc1.Cc1c[nH]cn1
- LUMO level: 0.72 eV
- HOMO: -0.3043 Eh
........

She looked up to see Luc standing there, a smile on his face. She nodded, and he sat down across from her. They talked about their plans for the day. Sophie said she had nothing left planned out for the rest of the day and so he suggested she accompanies him to visit a nearby vineyard for a wine tasting.

They walked the streets of provence, chatting about their favorite music, till they arrived at the vineyard. The vineyard was beautiful, with rows of grapevines stretching out as far as the eye could see. He met the manager, and he escorted them to the sample room. They sampled different wines, laughing and joking as they tried to guess the flavors. Finally, he made his pick and ordered that they be delivered as soon as possible, and then they departed.

As they walked back to the villa, the sun setting behind them, Sophie felt a warmth in her heart. She had never felt so comfortable and happy with someone before. She knew that this summer in Provence would be one she would never forget.

As they walked back to the villa, the sun setting behind them, Sophie felt a warmth in her heart. She had never felt so comfortable and happy with someone before. She knew that this summer in Provence would be one she would never forget.

Back at the villa, Sophie and Luc parted ways, each lost in their own thoughts. Sophie couldn't help but smile as she thought about the day they had spent together. She felt a connection with Luc that she had never felt with anyone else, and she was grateful for his friendship.

Meanwhile, Luc couldn't shake the feeling that Sophie was different from anyone he had ever met. There was something about her that drew him in, something that made him want to spend every moment with her. He knew that he was falling for her, but he was also afraid. Afraid of getting hurt again, afraid of opening up his heart to someone new.

The next day, Sophie and Luc met at breakfast and decided to explore the countryside together later in the day. They hiked through fields of lavender, the fragrant flowers perfuming the air around them. They talked and laughed, their conversation flowing easily as they walked.

As they reached the top of a hill, they stopped to catch their breath, the vista before them breathtaking. The sun was beginning to set, casting a warm glow over the landscape. Sophie turned to Luc, her eyes shining with excitement.

"This is amazing," she said, her voice filled with wonder. "I never want to leave this place." She gazed at the sight before her, lost in thought. Just taking in it's magnificence.

Luc looked at her, his heart pounding in his chest. He knew that he had to tell her how he felt, that he couldn't keep his feelings bottled up any longer.

"Sophie, there's something I need to tell you," he began, his voice serious. "I know that we've only known each other for a short time, but I feel like I've known you forever. I feel a connection with you that I've never felt with anyone else, and I don't want to hide my feelings any longer. I'm falling for you, Sophie, and I want to see where this could lead."

Sophie turned facing him. The sound of luc's voice had awakened her from her trance." Sorry , I didn't get you, I was lost admiring this beautiful scene" she said gently with an innocent look in her eyes. Luc breathed a sigh of both relief and regret. Relief that he didn't end up making a fool of himself again and regret, knowing he might never have the courage to say how he felt again. He smiled at her. " I wanted to say that we should be on our way down, it's getting pretty late".

As they made their way back down the hill, the sun dipped below the horizon, casting a golden glow over the landscape. Sophie and Luc walked in comfortable silence, each lost in their own thoughts.

Inserted here: calculated molecules
........
The following is a DFT calculation (wB97M-V/def2-TZVPD) of C2HBrF3I as an isolated structure in a non-equilibrium geometry.

Element x y z (Å)
C 0.31 -0.67 -0.80
C 0.76 0.05 0.40
F 0.12 1.17 0.91
F 1.97 0.47 0.12
F 0.93 -0.79 1.44
Br -1.52 -0.96 -0.44
I -3.19 0.90 0.16
H 0.63 -0.17 -1.79

Lowest unoccupied orbital energy (spin up / spin down), hartree: -0.0846 / -0.0823
Relative energy (zero: lowest compared OMol25 entry of this formula, charge and spin), kcal per mole: 54.2
Frontier orbital gap (spin up / spin down), Ha: 0.2527 / 0.2789
2S+1: 1


The following is a DFT calculation (wB97M-V/def2-TZVPD) of an isolated molecule of C23H27ClN4O.

Element x y z (Å)
C -4.57 0.23 -3.13
C -3.36 -0.24 -2.85
C -3.09 -1.70 -2.62
C -2.16 0.68 -2.80
N -1.23 0.39 -1.73
C -1.62 0.43 -0.44
O -2.71 0.84 -0.08
C -0.62 -0.03 0.64
C 0.03 -1.40 0.51
C -0.06 -2.25 1.58
C 0.64 -3.50 1.62
C 1.43 -3.86 0.59
N 1.52 -3.03 -0.49
C 2.24 -3.18 -1.66
C 1.95 -2.07 -2.40
N 1.09 -1.25 -1.75
C 0.84 -1.83 -0.59
N 0.32 1.05 1.00
C 0.57 1.12 2.44
C -0.59 1.75 3.21
C -0.89 3.16 2.71
C -0.25 1.75 4.70
C 1.48 1.16 0.18
C 2.67 0.50 0.49
C 3.77 0.58 -0.35
C 3.67 1.34 -1.50
Cl 5.04 1.42 -2.58
C 2.52 2.03 -1.81
C 1.43 1.95 -0.96
H -4.74 1.29 -3.25
H -5.42 -0.42 -3.22
H -2.78 -1.87 -1.59
H -3.97 -2.30 -2.82
H -2.27 -2.05 -3.26
H -1.60 0.58 -3.73
H -2.50 1.71 -2.73
H -0.34 -0.05 -1.95
H -1.29 -0.12 1.50
H -0.67 -1.97 2.42
H 0.54 -4.15 2.48
H 2.00 -4.77 0.55
H 2.87 -4.03 -1.84
H 2.33 -1.83 -3.39
H 0.80 0.13 2.87
H 1.45 1.75 2.58
H -1.49 1.14 3.07
H -0.01 3.80 2.82
H -1.17 3.14 1.66
H -1.71 3.61 3.28
H 0.63 2.36 4.89
H -1.07 2.16 5.29
H -0.05 0.74 5.07
H 2.72 -0.10 1.39
H 4.68 0.06 -0.11
H 2.48 2.64 -2.71
H 0.52 2.49 -1.18

SMILES: C=C(C)CNC(=O)[C@@H](c1cccn2ccnc12)N(CC(C)C)c1ccc(Cl)cc1
Lowest unoccupied orbital energy, hartree: 0.0123
Relative energy (zero: lowest compared OMol25 entry of this formula, charge and spin), kcal per mole: 14.9
Frontier orbital gap, Ha: 0.3175
2S+1: 1

=====

(1)
C14H25GdNO2S4SbSi | the ωB97M-V functional and the def2-TZVPD basis

LUMO level (alpha / beta)   4.1 / 4.1 eV
Orbital gap (alpha / beta)   0.2067 / 0.2070 Ha
HOMO level (alpha / beta)   -1.5 / -1.5 eV
Energy relative to the best compared isomer or geometry (same formula, charge and spin)   52.1 kJ/mol
Total charge   -2
2S+1   8

Geometry (Å):
Gd: -0.4366 -0.4543 -0.0646
C: -2.3986 1.5733 1.1612
C: -1.5287 2.5121 0.5806
C: -1.4654 2.2660 -0.8036
C: -2.3200 1.1750 -1.0891
C: -2.8953 0.7478 0.1371
H: -2.6722 1.5236 2.2021
H: -1.0402 3.3190 1.1102
H: -0.9659 2.8715 -1.5489
H: -2.5816 0.8154 -2.0705
H: -3.6633 0.0052 0.2464
S: -0.4366 -1.0456 5.2232
Sb: 0.3843 -1.4688 3.1332
S: 0.9461 0.6136 2.0453
S: -1.3220 -2.3009 1.6574
S: 2.2677 -2.7616 3.0537
O: 3.5583 0.7746 -2.0026
C: 2.6356 1.1529 -1.2810
O: 1.3923 0.8782 -1.3120
C: 2.9853 2.1415 -0.1466
N: 1.6830 2.7742 0.2762
C: 1.7053 4.2215 -0.0732
C: 2.7945 4.3044 -1.1432
C: 3.8442 3.3024 -0.6291
H: 3.3929 1.5604 0.6721
H: 1.4315 2.5341 1.2314
........

When they reached the villa, they parted ways, each retreating to their respective rooms. Sophie lay in bed, replaying the day's events in her mind. She couldn't deny the attraction she felt for Luc, but she also knew that she needed to proceed with caution. She had been hurt before, and she didn't want to rush into anything too quickly.

Luc sat on his balcony, looking out at the star-filled sky. He couldn't shake the image of Sophie's smile from his mind. He knew that he had opened up to her, but he also knew that he needed to be patient. He had been hurt in the past, and he didn't want to make the same mistakes again.

_Between two parts of the article: data records_
'''
This record from OMol25 describes a gas-phase ion, C4H11O4PSi (charge -2). The level of theory is ωB97M-V with the def2-TZVPD basis set.

- structure (SMILES) = C=P([O-])([O-])O[Si](C)(C)OC
- net charge = -2
- electronic energy (eV) = -29683.8302
- Kohn-Sham gap (eV) = 5.041
- lowest unoccupied orbital energy (eV) = 5.97

Each atom is followed by the atoms it is bonded to, with distances in Å.
Positions of all 21 atoms, in Å:
1 C -1.87846 -2.08417 0.75843  O8 1.337, H11 1.082, H12 1.217, H13 1.222
2 C -1.22899 1.17166 0.75366  Si9 1.945, H14 1.062, H15 0.991, H16 1.211
3 C -0.48990 0.39619 -2.19888  Si9 1.935, H17 0.996, H18 1.174, H19 1.187
4 C 2.50072 1.43028 1.05410  P10 1.688, H20 1.017, H21 1.105
5 O 3.01477 0.25672 -1.40327  P10 1.541
6 O 0.85249 -0.79644 0.17071  Si9 1.524, P10 2.099
7 O 3.49665 -1.13560 0.70147  P10 1.522
8 O -1.77515 -1.30340 -0.32242  C1 1.337, Si9 1.712
9 Si -0.45185 -0.21769 -0.36422  C2 1.945, C3 1.935, O6 1.524, O8 1.712
10 P 2.76768 0.06009 0.10473  C4 1.688, O5 1.541, O6 2.099, O7 1.522
11 H -2.54126 -1.68401 1.51398  C1 1.082
12 H -0.88516 -2.39522 1.38920  C1 1.217
13 H -2.39085 -3.12133 0.36382  C1 1.222
14 H -0.75592 1.16650 1.70465  C2 1.062
15 H -1.01157 2.07526 0.40836  C2 0.991
16 H -2.41816 0.94260 0.78222  C2 1.211
17 H -0.91802 -0.22162 -2.85220  C3 0.996
18 H -0.89448 1.49167 -2.32354  C3 1.174
19 H 0.64376 0.45524 -2.54534  C3 1.187
20 H 2.06007 1.25335 1.95314  C4 1.017
21 H 2.30362 2.25993 0.35139  C4 1.105

These are the natural (NBO) partial charges, in e, on atoms 1 to 2:
1. C -0.218
2. C -1.127

~~~~~

{
  "formula": "C40H110N10O10",
  "method": "the ωB97M-V functional and the def2-TZVPD basis",
  "elements": ["C", "H", "C", "H", "C", "C", "H", "H", "C", "H", "H", "C", "H", "O", "H", "H", "N", "H", "H", "H", "C", "N", "H", "H", "C", "C", "C", "O", "C", "C", "H", "H", "H", "H", "H", "C", "C", "H", "H", "H", "C", "H", "H", "C", "C", "H", "O", "H", "C", "H", "H", "H", "H", "H", "H", "H", "H", "H", "N", "H", "H", "H", "H", "C", "H", "H", "H", "H", "H", "H", "H", "H", "O", "H", "H", "H", "C", "H", "H", "H", "N", "H", "H", "H", "H", "H", "H", "H", "C", "H", "C", "C", "H", "H", "C", "H", "H", "H", "H", "N", "H", "H", "H", "H", "H", "H", "H", "C", "H", "H", "H", "H", "N", "H", "H", "H", "C", "H", "H", "C", "H", "H", "H", "H", "H", "O", "O", "H", "C", "H", "H", "C", "O", "H", "C", "C", "O", "O", "N", "H", "H", "C", "N", "C", "C", "H", "H", "H", "H", "C", "H", "C", "H", "H", "H", "N", "H", "H", "H", "H", "C", "C", "H", "H", "H", "O", "H", "C", "C", "N"],
'''
_Here the article continues_

The next day, Sophie and Luc decided to spend the day exploring the countryside. They visited quaint villages, sampled local cuisine, and enjoyed each other's company. As the day drew to a close, they found themselves back at the villa, sitting on the terrace overlooking the vineyards.

"I've had a wonderful time today," Sophie said, breaking the silence. "Thank you for showing me around."

"It was my pleasure," Luc replied, smiling. "I've enjoyed every moment we've spent together."

Sophie looked at him, her heart racing. She knew that she needed to be honest with him.

"Luc, there's something I need to tell you," she began, her voice soft. "I feel a connection with you that I've never felt with anyone else. But I also know that we need to take things slow. I've been hurt before, and I don't want to rush into anything too quickly."

Luc nodded, understanding. "I feel the same way, Sophie. I've been hurt in the past too, and I want to make sure that we're both ready for whatever comes next."

They sat in silence for a moment, taking in the beauty of the vineyards stretching out before them. The sun began to set, casting a warm glow over the landscape.

"I think we should take things one day at a time," Luc said, breaking the silence. "No rushing, no expectations. Just enjoying each other's company and seeing where this takes us."

Sophie smiled, a sense of peace washing over her. "I couldn't agree more," she said, reaching out to take his hand. "One day at a time."

As they sat there, hand in hand, watching the sun set over the vineyards, Sophie and Luc knew that their journey was just beginning. And they were both excited to see where it would lead.As the days turned into weeks, Sophie and Luc's bond grew stronger. They spent their days exploring the countryside, hiking through the hills, and picnicking by the river. They shared their hopes, dreams, and fears, opening up to each other in ways they never had before.

Despite their growing feelings for each other, they remained committed to taking things slow. They knew that they needed to build a solid foundation for their relationship, one based on trust, understanding, and patience.

One evening, as they sat on the terrace watching the sun set, Luc turned to Sophie with a serious expression.

"Sophie, there's something I need to tell you," he began, taking her hand in his. "I haven't been completely honest with you about my past."

Sophie looked at him, her heart pounding in her chest. She had sensed that there was more to Luc than met the eye, but she had never pressed him for details.

"I understand if you're not ready to talk about it," she said softly, squeezing his hand reassuringly. "But I want you to know that whatever it is, I'm here for you."

Luc took a deep breath, steeling himself for what he was about to reveal.

"I grew up in a troubled home," he began, his voice barely above a whisper. "My parents were distant and cold, more concerned with their own lives than with me. I never felt like I belonged, like I was loved."

Sophie listened intently, her heart breaking for the pain he must have endured.

"I turned to medicine as a way to escape," Luc continued. "It became my refuge, my solace. But even as I excelled in my studies and built a successful career, I felt empty inside."

Sophie reached out and cupped his cheek, her touch gentle and comforting.

"You don't have to carry that burden alone anymore," she said softly. "I'm here for you, Luc. We'll face whatever comes our way together."

Luc smiled, a mixture of relief and gratitude washing over him.

"Thank you, Sophie," he said, his voice filled with emotion. "Thank you for being here for me, for understanding."

As they sat there, bathed in the soft light of the setting sun, Sophie and Luc knew that they had found something special in each other. And they were both grateful for the journey that had brought them together.